Entries =
~~~
Computed, not measured: Tc2P3 after structural relaxation at the meta-GGA r2SCAN level of DFT.

Calculated values
offset from the most stable computed form: 0 meV per atom
energy of formation: -0.59 eV/atom

Unit cell a=6.3091 b=6.3310 c=7.6803 alpha=95.63 beta=101.75 gamma=104.42
Last column: nearest neighbours and their distance in Å.
Element x y z (fractional)
Tc (0.0356, 0.3611, 0.3616)  6 P 2.33-2.44
Tc (0.1228, 0.0854, 0.8592)  5 P 2.29-2.44
Tc (0.4028, 0.9131, 0.1468)  5 P 2.31-2.45
Tc (0.4206, 0.6316, 0.6312)  6 P 2.33-2.46
Tc (0.5794, 0.3684, 0.3688)  6 P 2.33-2.46
Tc (0.5972, 0.0869, 0.8532)  5 P 2.31-2.45
Tc (0.8772, 0.9146, 0.1408)  5 P 2.29-2.44
Tc (0.9644, 0.6389, 0.6384)  6 P 2.33-2.44
P (0.0378, 0.6840, 0.9641)  1 P 2.40, 3 Tc 2.42-2.45
P (0.1297, 0.3506, 0.6769)  4 Tc 2.29-2.39
P (0.2354, 0.0763, 0.3614)  1 P 2.23, 4 Tc 2.41-2.46
P (0.2653, 0.9384, 0.6189)  1 P 2.23, 4 Tc 2.37-2.42
P (0.3611, 0.6324, 0.3191)  4 Tc 2.31-2.43
P (0.4664, 0.3216, 0.0420)  1 P 2.37, 3 Tc 2.38-2.43
P (0.5336, 0.6784, 0.9580)  1 P 2.37, 3 Tc 2.38-2.43
P (0.6389, 0.3676, 0.6809)  4 Tc 2.31-2.43
P (0.7347, 0.0616, 0.3811)  1 P 2.23, 4 Tc 2.37-2.42
P (0.7646, 0.9237, 0.6386)  1 P 2.23, 4 Tc 2.41-2.46
P (0.8703, 0.6494, 0.3231)  4 Tc 2.29-2.39
P (0.9622, 0.3160, 0.0359)  1 P 2.40, 3 Tc 2.42-2.45
~~~

Exercise =
Echo all of the calculation results further up unchanged.

Worked solution =
Computed, not measured: Tc2P3 after structural relaxation at the meta-GGA r2SCAN level of DFT.

Calculated values
offset from the most stable computed form: 0 meV per atom
energy of formation: -0.59 eV/atom

Unit cell a=6.3091 b=6.3310 c=7.6803 alpha=95.63 beta=101.75 gamma=104.42
Last column: nearest neighbours and their distance in Å.
Element x y z (fractional)
Tc (0.0356, 0.3611, 0.3616)  6 P 2.33-2.44
Tc (0.1228, 0.0854, 0.8592)  5 P 2.29-2.44
Tc (0.4028, 0.9131, 0.1468)  5 P 2.31-2.45
Tc (0.4206, 0.6316, 0.6312)  6 P 2.33-2.46
Tc (0.5794, 0.3684, 0.3688)  6 P 2.33-2.46
Tc (0.5972, 0.0869, 0.8532)  5 P 2.31-2.45
Tc (0.8772, 0.9146, 0.1408)  5 P 2.29-2.44
Tc (0.9644, 0.6389, 0.6384)  6 P 2.33-2.44
P (0.0378, 0.6840, 0.9641)  1 P 2.40, 3 Tc 2.42-2.45
P (0.1297, 0.3506, 0.6769)  4 Tc 2.29-2.39
P (0.2354, 0.0763, 0.3614)  1 P 2.23, 4 Tc 2.41-2.46
P (0.2653, 0.9384, 0.6189)  1 P 2.23, 4 Tc 2.37-2.42
P (0.3611, 0.6324, 0.3191)  4 Tc 2.31-2.43
P (0.4664, 0.3216, 0.0420)  1 P 2.37, 3 Tc 2.38-2.43
P (0.5336, 0.6784, 0.9580)  1 P 2.37, 3 Tc 2.38-2.43
P (0.6389, 0.3676, 0.6809)  4 Tc 2.31-2.43
P (0.7347, 0.0616, 0.3811)  1 P 2.23, 4 Tc 2.37-2.42
P (0.7646, 0.9237, 0.6386)  1 P 2.23, 4 Tc 2.41-2.46
P (0.8703, 0.6494, 0.3231)  4 Tc 2.29-2.39
P (0.9622, 0.3160, 0.0359)  1 P 2.40, 3 Tc 2.42-2.45